Please start at the top of the lines underneath and echo each line, ending with the one that has "PBE+U geometry".

-- begin --
[1]
Diffraction record for CsBaU4N8. The X-ray diffraction stick pattern is computed, not measured: it uses the PBE geometry in Alexandria and copper Kα.
Intensities are scaled so that the largest is 100.

Structure:
Unit cell a=8.015 b=8.015 c=8.015 alpha=51.95 beta=51.95 gamma=51.95
Element x y z (fractional)
Cs (0.000, 0.000, 0.000)
Ba (0.643, 0.643, 0.643)
U (0.156, 0.653, 0.653)
U (0.171, 0.171, 0.171)
U (0.653, 0.156, 0.653)
U (0.653, 0.653, 0.156)
N (0.386, 0.386, 0.854)
N (0.386, 0.854, 0.386)
N (0.438, 0.950, 0.950)
N (0.444, 0.444, 0.444)
N (0.854, 0.386, 0.386)
N (0.863, 0.863, 0.863)
N (0.950, 0.438, 0.950)
N (0.950, 0.950, 0.438)

Top 10 peaks for 5 to 70 degrees two-theta, in order of falling intensity:
2θ 12.8, d = 6.914 Å, rel. 100.0
2θ 30.6, d = 2.917 Å, rel. 60.6
2θ 34.2, d = 2.623 Å, rel. 57.0
2θ 29.7, d = 3.008 Å, rel. 56.3
2θ 25.8, d = 3.457 Å, rel. 46.5
2θ 59.0, d = 1.565 Å, rel. 29.6
2θ 42.6, d = 2.122 Å, rel. 29.1
2θ 52.1, d = 1.755 Å, rel. 28.0
2θ 36.6, d = 2.452 Å, rel. 25.4
2θ 46.0, d = 1.973 Å, rel. 22.3

=====

[2]
Diffraction record for CsBa2Na2Sb2. The X-ray diffraction stick pattern is computed, not measured: it uses the PBE geometry in Alexandria and copper Kα.
Intensities are scaled so that the largest is 100.

Structure:
Unit cell a=11.799 b=11.799 c=11.799 alpha=27.22 beta=27.22 gamma=27.22
Element x y z (fractional)
Cs (0.000, 0.000, 0.000)
Ba (0.132, 0.132, 0.132)
Ba (0.868, 0.868, 0.868)
Na (0.411, 0.411, 0.411)
Na (0.589, 0.589, 0.589)
Sb (0.246, 0.246, 0.246)
Sb (0.754, 0.754, 0.754)

Top 10 peaks for 5 to 70 degrees two-theta, in order of falling intensity:
2θ 28.0, d = 3.188 Å, rel. 100.0
2θ 32.2, d = 2.777 Å, rel. 94.8
2θ 18.6, d = 4.762 Å, rel. 55.1
2θ 26.0, d = 3.421 Å, rel. 40.7
2θ 43.2, d = 2.094 Å, rel. 30.4
2θ 54.9, d = 1.672 Å, rel. 29.8
2θ 57.5, d = 1.603 Å, rel. 19.7
2θ 46.7, d = 1.947 Å, rel. 17.7
2θ 40.3, d = 2.239 Å, rel. 16.2
2θ 7.8, d = 11.355 Å, rel. 14.6

=====

[3]
Diffraction record for CsBaNp2O7. The X-ray diffraction stick pattern is computed, not measured: it uses the PBE geometry in Alexandria and copper Kα.
Intensities are scaled so that the largest is 100.

Structure:
Unit cell a=4.320 b=4.320 c=11.220 alpha=90.00 beta=90.00 gamma=90.00
Element x y z (fractional)
Cs (0.000, 0.000, 0.000)
Ba (0.000, 0.000, 0.500)
Np (0.500, 0.500, 0.305)
Np (0.500, 0.500, 0.695)
O (0.000, 0.500, 0.326)
O (0.000, 0.500, 0.674)
O (0.500, 0.000, 0.326)
O (0.500, 0.000, 0.674)
O (0.500, 0.500, 0.137)
O (0.500, 0.500, 0.500)
O (0.500, 0.500, 0.863)

Top 10 peaks for 5 to 70 degrees two-theta, in order of falling intensity:
2θ 26.0, d = 3.423 Å, rel. 100.0
2θ 29.2, d = 3.055 Å, rel. 50.9
2θ 49.9, d = 1.827 Å, rel. 34.6
2θ 7.9, d = 11.220 Å, rel. 33.8
2θ 41.8, d = 2.160 Å, rel. 27.2
2θ 31.6, d = 2.828 Å, rel. 20.8
2θ 20.6, d = 4.320 Å, rel. 15.1
2θ 23.8, d = 3.740 Å, rel. 14.9
2θ 45.6, d = 1.991 Å, rel. 14.4
2θ 48.7, d = 1.870 Å, rel. 13.0

=====

[4]
Diffraction record for CsBaPaO4. The X-ray diffraction stick pattern is computed, not measured: it uses the PBE geometry in Alexandria and copper Kα.
Intensities are scaled so that the largest is 100.

Structure:
Unit cell a=7.709 b=7.709 c=7.709 alpha=146.01 beta=146.01 gamma=48.84
Element x y z (fractional)
Cs (0.000, 0.000, 0.000)
Ba (0.700, 0.700, 0.000)
Pa (0.349, 0.349, 0.000)
O (0.200, 0.200, 0.000)
O (0.333, 0.833, 0.500)
O (0.498, 0.498, 0.000)
O (0.833, 0.333, 0.500)

Top 10 peaks for 5 to 70 degrees two-theta, in order of falling intensity:
2θ 27.5, d = 3.246 Å, rel. 100.0
2θ 28.0, d = 3.187 Å, rel. 58.4
2θ 49.2, d = 1.851 Å, rel. 41.8
2θ 40.0, d = 2.254 Å, rel. 28.8
2θ 12.6, d = 7.020 Å, rel. 21.9
2θ 48.2, d = 1.886 Å, rel. 21.1
2θ 56.7, d = 1.623 Å, rel. 15.9
2θ 38.5, d = 2.340 Å, rel. 12.6
2θ 37.7, d = 2.383 Å, rel. 11.5
2θ 65.5, d = 1.425 Å, rel. 10.7

----------

No. 1
Theoretical X-ray diffraction stick pattern
Compound: V6F13
Radiation: a wavelength of 1.5418 Å
Structure: the PBE+U geometry in Alexandria
-- stop --

[1]
Diffraction record for CsBaU4N8. The X-ray diffraction stick pattern is computed, not measured: it uses the PBE geometry in Alexandria and copper Kα.
Intensities are scaled so that the largest is 100.

Structure:
Unit cell a=8.015 b=8.015 c=8.015 alpha=51.95 beta=51.95 gamma=51.95
Element x y z (fractional)
Cs (0.000, 0.000, 0.000)
Ba (0.643, 0.643, 0.643)
U (0.156, 0.653, 0.653)
U (0.171, 0.171, 0.171)
U (0.653, 0.156, 0.653)
U (0.653, 0.653, 0.156)
N (0.386, 0.386, 0.854)
N (0.386, 0.854, 0.386)
N (0.438, 0.950, 0.950)
N (0.444, 0.444, 0.444)
N (0.854, 0.386, 0.386)
N (0.863, 0.863, 0.863)
N (0.950, 0.438, 0.950)
N (0.950, 0.950, 0.438)

Top 10 peaks for 5 to 70 degrees two-theta, in order of falling intensity:
2θ 12.8, d = 6.914 Å, rel. 100.0
2θ 30.6, d = 2.917 Å, rel. 60.6
2θ 34.2, d = 2.623 Å, rel. 57.0
2θ 29.7, d = 3.008 Å, rel. 56.3
2θ 25.8, d = 3.457 Å, rel. 46.5
2θ 59.0, d = 1.565 Å, rel. 29.6
2θ 42.6, d = 2.122 Å, rel. 29.1
2θ 52.1, d = 1.755 Å, rel. 28.0
2θ 36.6, d = 2.452 Å, rel. 25.4
2θ 46.0, d = 1.973 Å, rel. 22.3

=====

[2]
Diffraction record for CsBa2Na2Sb2. The X-ray diffraction stick pattern is computed, not measured: it uses the PBE geometry in Alexandria and copper Kα.
Intensities are scaled so that the largest is 100.

Structure:
Unit cell a=11.799 b=11.799 c=11.799 alpha=27.22 beta=27.22 gamma=27.22
Element x y z (fractional)
Cs (0.000, 0.000, 0.000)
Ba (0.132, 0.132, 0.132)
Ba (0.868, 0.868, 0.868)
Na (0.411, 0.411, 0.411)
Na (0.589, 0.589, 0.589)
Sb (0.246, 0.246, 0.246)
Sb (0.754, 0.754, 0.754)

Top 10 peaks for 5 to 70 degrees two-theta, in order of falling intensity:
2θ 28.0, d = 3.188 Å, rel. 100.0
2θ 32.2, d = 2.777 Å, rel. 94.8
2θ 18.6, d = 4.762 Å, rel. 55.1
2θ 26.0, d = 3.421 Å, rel. 40.7
2θ 43.2, d = 2.094 Å, rel. 30.4
2θ 54.9, d = 1.672 Å, rel. 29.8
2θ 57.5, d = 1.603 Å, rel. 19.7
2θ 46.7, d = 1.947 Å, rel. 17.7
2θ 40.3, d = 2.239 Å, rel. 16.2
2θ 7.8, d = 11.355 Å, rel. 14.6

=====

[3]
Diffraction record for CsBaNp2O7. The X-ray diffraction stick pattern is computed, not measured: it uses the PBE geometry in Alexandria and copper Kα.
Intensities are scaled so that the largest is 100.

Structure:
Unit cell a=4.320 b=4.320 c=11.220 alpha=90.00 beta=90.00 gamma=90.00
Element x y z (fractional)
Cs (0.000, 0.000, 0.000)
Ba (0.000, 0.000, 0.500)
Np (0.500, 0.500, 0.305)
Np (0.500, 0.500, 0.695)
O (0.000, 0.500, 0.326)
O (0.000, 0.500, 0.674)
O (0.500, 0.000, 0.326)
O (0.500, 0.000, 0.674)
O (0.500, 0.500, 0.137)
O (0.500, 0.500, 0.500)
O (0.500, 0.500, 0.863)

Top 10 peaks for 5 to 70 degrees two-theta, in order of falling intensity:
2θ 26.0, d = 3.423 Å, rel. 100.0
2θ 29.2, d = 3.055 Å, rel. 50.9
2θ 49.9, d = 1.827 Å, rel. 34.6
2θ 7.9, d = 11.220 Å, rel. 33.8
2θ 41.8, d = 2.160 Å, rel. 27.2
2θ 31.6, d = 2.828 Å, rel. 20.8
2θ 20.6, d = 4.320 Å, rel. 15.1
2θ 23.8, d = 3.740 Å, rel. 14.9
2θ 45.6, d = 1.991 Å, rel. 14.4
2θ 48.7, d = 1.870 Å, rel. 13.0

=====

[4]
Diffraction record for CsBaPaO4. The X-ray diffraction stick pattern is computed, not measured: it uses the PBE geometry in Alexandria and copper Kα.
Intensities are scaled so that the largest is 100.

Structure:
Unit cell a=7.709 b=7.709 c=7.709 alpha=146.01 beta=146.01 gamma=48.84
Element x y z (fractional)
Cs (0.000, 0.000, 0.000)
Ba (0.700, 0.700, 0.000)
Pa (0.349, 0.349, 0.000)
O (0.200, 0.200, 0.000)
O (0.333, 0.833, 0.500)
O (0.498, 0.498, 0.000)
O (0.833, 0.333, 0.500)

Top 10 peaks for 5 to 70 degrees two-theta, in order of falling intensity:
2θ 27.5, d = 3.246 Å, rel. 100.0
2θ 28.0, d = 3.187 Å, rel. 58.4
2θ 49.2, d = 1.851 Å, rel. 41.8
2θ 40.0, d = 2.254 Å, rel. 28.8
2θ 12.6, d = 7.020 Å, rel. 21.9
2θ 48.2, d = 1.886 Å, rel. 21.1
2θ 56.7, d = 1.623 Å, rel. 15.9
2θ 38.5, d = 2.340 Å, rel. 12.6
2θ 37.7, d = 2.383 Å, rel. 11.5
2θ 65.5, d = 1.425 Å, rel. 10.7

----------

No. 1
Theoretical X-ray diffraction stick pattern
Compound: V6F13
Radiation: a wavelength of 1.5418 Å
Structure: the PBE+U geometry in Alexandria